(Listing)
Entry 1:
DFT (PBE-GGA) results for an optimized crystal structure of BaMg6SnO8.

Computed properties:
E   -5.531 eV per atom
Formation energy   -2430 meV/atom
Excess energy over the best structure of this formula in the dataset   0.000 eV/atom

```
data_BaMg6SnO8
_chemical_formula_sum 'Ba1 Mg6 Sn1 O8'
_cell_length_a 9.172
_cell_length_b 4.774
_cell_length_c 4.774
_cell_angle_alpha 90.00
_cell_angle_beta 90.00
_cell_angle_gamma 90.00
_symmetry_space_group_name_H-M 'P 1'
_symmetry_Int_Tables_number 1
loop_
_symmetry_equiv_pos_as_xyz
'x,y,z'
loop_
_atom_site_label
_atom_site_type_symbol
_atom_site_fract_x
_atom_site_fract_y
_atom_site_fract_z
Mg1 Mg 0.721 0.500 0.000
Mg2 Mg 0.279 0.000 0.500
Mg3 Mg 0.500 0.500 0.500
Mg4 Mg 0.279 0.500 0.000
Mg5 Mg 0.500 0.000 0.000
Mg6 Mg 0.721 0.000 0.500
O1 O 0.285 0.500 0.500
O2 O 0.721 0.000 0.000
O3 O 0.500 0.000 0.500
O4 O 0.715 0.500 0.500
O5 O 0.279 0.000 0.000
O6 O 0.000 0.500 0.000
O7 O 0.500 0.500 0.000
O8 O 0.000 0.000 0.500
Sn1 Sn 0.000 0.000 0.000
Ba1 Ba 0.000 0.500 0.500
```

Entry 2:
DFT (PBE-GGA) results for an optimized crystal structure of Na7Mg2Zr2SiP5O24.

Computed properties:
E   -6.929 eV per atom
Formation energy   -2922 meV/atom

```
data_Na7Mg2Zr2SiP5O24
_chemical_formula_sum 'Na21 Mg6 Zr6 Si3 P15 O72'
_cell_length_a 9.109
_cell_length_b 9.104
_cell_length_c 22.408
_cell_angle_alpha 90.10
_cell_angle_beta 89.88
_cell_angle_gamma 120.05
_symmetry_space_group_name_H-M 'P 1'
_symmetry_Int_Tables_number 1
loop_
_symmetry_equiv_pos_as_xyz
'x,y,z'
loop_
_atom_site_label
_atom_site_type_symbol
_atom_site_fract_x
_atom_site_fract_y
_atom_site_fract_z
O1 O 0.154 0.646 0.080
O2 O 0.792 0.977 0.689
O3 O 0.189 0.979 0.193
O4 O 0.313 0.850 0.971
O5 O 0.550 0.865 0.475
O6 O 0.126 0.476 0.859
O7 O 0.459 0.300 0.031
O8 O 0.027 0.831 0.412
O9 O 0.654 0.146 0.419
O10 O 0.366 0.500 0.078
O11 O 0.821 0.808 0.587
O12 O 0.205 0.177 0.801
O13 O 0.312 0.473 0.755
O14 O 0.122 0.644 0.358
O15 O 0.861 0.505 0.421
O16 O 0.694 0.536 0.530
O17 O 0.512 0.870 0.364
O18 O 0.501 0.636 0.578
O19 O 0.160 0.476 0.252
O20 O 0.879 0.362 0.637
O21 O 0.313 0.458 0.470
O22 O 0.810 0.986 0.412
O23 O 0.541 0.686 0.970
O24 O 0.343 0.470 0.357
O25 O 0.531 0.655 0.857
O26 O 0.656 0.510 0.918
O27 O 0.310 0.838 0.255
O28 O 0.204 0.021 0.305
O29 O 0.511 0.834 0.754
O30 O 0.479 0.359 0.142
O31 O 0.823 0.026 0.807
O32 O 0.833 0.529 0.746
O33 O 0.352 0.845 0.579
O34 O 0.470 0.165 0.247
O35 O 0.840 0.316 0.248
O36 O 0.979 0.794 0.805
O37 O 0.986 0.190 0.305
O38 O 0.642 0.524 0.642
O39 O 0.175 0.008 0.587
O40 O 0.851 0.543 0.022
O41 O 0.691 0.176 0.747
O42 O 0.027 0.813 0.693
O43 O 0.637 0.128 0.133
O44 O 0.819 0.799 0.300
O45 O 0.856 0.348 0.918
O46 O 0.141 0.460 0.972
O47 O 0.476 0.317 0.745
O48 O 0.508 0.858 0.077
O49 O 0.153 0.690 0.470
O50 O 0.454 0.148 0.522
O51 O 0.495 0.140 0.921
O52 O 0.168 0.972 0.914
O53 O 0.690 0.524 0.247
O54 O 0.487 0.342 0.417
O55 O 0.143 0.495 0.577
O56 O 0.167 0.190 0.412
O57 O 0.153 0.676 0.755
O58 O 0.194 0.216 0.689
O59 O 0.353 0.877 0.859
O60 O 0.811 0.830 0.913
O61 O 0.487 0.127 0.639
O62 O 0.519 0.673 0.254
O63 O 0.190 0.182 0.090
O64 O 0.982 0.175 0.586
O65 O 0.871 0.510 0.140
O66 O 0.017 0.190 0.914
O67 O 0.689 0.141 0.022
O68 O 0.991 0.824 0.087
O69 O 0.781 0.798 0.188
O70 O 0.017 0.208 0.193
O71 O 0.856 0.314 0.524
O72 O 0.828 0.023 0.088
Na1 Na 0.994 0.987 0.507
Na2 Na 0.362 0.985 0.754
Na3 Na 0.010 0.639 0.253
Na4 Na 0.687 0.706 0.086
Na5 Na 0.015 0.006 0.007
Na6 Na 0.677 0.973 0.593
Na7 Na 0.650 0.330 0.842
Na8 Na 0.028 0.708 0.588
Na9 Na 0.958 0.654 0.926
Na10 Na 0.347 0.041 0.425
Na11 Na 0.294 0.313 0.584
Na12 Na 0.630 0.646 0.753
Na13 Na 0.694 0.037 0.920
Na14 Na 0.665 0.336 0.341
Na15 Na 0.359 0.369 0.256
Na16 Na 0.348 0.685 0.176
Na17 Na 0.340 0.676 0.674
Na18 Na 0.291 0.973 0.089
Na19 Na 0.026 0.327 0.090
Na20 Na 0.006 0.367 0.757
Na21 Na 0.963 0.307 0.421
P1 P 0.294 0.997 0.249
P2 P 0.670 0.040 0.079
P3 P 0.036 0.663 0.413
P4 P 0.669 0.626 0.582
P5 P 0.002 0.297 0.248

(Assignment)
Give back the whole of the entries above verbatim.

(Result)
Entry 1:
DFT (PBE-GGA) results for an optimized crystal structure of BaMg6SnO8.

Computed properties:
E   -5.531 eV per atom
Formation energy   -2430 meV/atom
Excess energy over the best structure of this formula in the dataset   0.000 eV/atom

```
data_BaMg6SnO8
_chemical_formula_sum 'Ba1 Mg6 Sn1 O8'
_cell_length_a 9.172
_cell_length_b 4.774
_cell_length_c 4.774
_cell_angle_alpha 90.00
_cell_angle_beta 90.00
_cell_angle_gamma 90.00
_symmetry_space_group_name_H-M 'P 1'
_symmetry_Int_Tables_number 1
loop_
_symmetry_equiv_pos_as_xyz
'x,y,z'
loop_
_atom_site_label
_atom_site_type_symbol
_atom_site_fract_x
_atom_site_fract_y
_atom_site_fract_z
Mg1 Mg 0.721 0.500 0.000
Mg2 Mg 0.279 0.000 0.500
Mg3 Mg 0.500 0.500 0.500
Mg4 Mg 0.279 0.500 0.000
Mg5 Mg 0.500 0.000 0.000
Mg6 Mg 0.721 0.000 0.500
O1 O 0.285 0.500 0.500
O2 O 0.721 0.000 0.000
O3 O 0.500 0.000 0.500
O4 O 0.715 0.500 0.500
O5 O 0.279 0.000 0.000
O6 O 0.000 0.500 0.000
O7 O 0.500 0.500 0.000
O8 O 0.000 0.000 0.500
Sn1 Sn 0.000 0.000 0.000
Ba1 Ba 0.000 0.500 0.500
```

Entry 2:
DFT (PBE-GGA) results for an optimized crystal structure of Na7Mg2Zr2SiP5O24.

Computed properties:
E   -6.929 eV per atom
Formation energy   -2922 meV/atom

```
data_Na7Mg2Zr2SiP5O24
_chemical_formula_sum 'Na21 Mg6 Zr6 Si3 P15 O72'
_cell_length_a 9.109
_cell_length_b 9.104
_cell_length_c 22.408
_cell_angle_alpha 90.10
_cell_angle_beta 89.88
_cell_angle_gamma 120.05
_symmetry_space_group_name_H-M 'P 1'
_symmetry_Int_Tables_number 1
loop_
_symmetry_equiv_pos_as_xyz
'x,y,z'
loop_
_atom_site_label
_atom_site_type_symbol
_atom_site_fract_x
_atom_site_fract_y
_atom_site_fract_z
O1 O 0.154 0.646 0.080
O2 O 0.792 0.977 0.689
O3 O 0.189 0.979 0.193
O4 O 0.313 0.850 0.971
O5 O 0.550 0.865 0.475
O6 O 0.126 0.476 0.859
O7 O 0.459 0.300 0.031
O8 O 0.027 0.831 0.412
O9 O 0.654 0.146 0.419
O10 O 0.366 0.500 0.078
O11 O 0.821 0.808 0.587
O12 O 0.205 0.177 0.801
O13 O 0.312 0.473 0.755
O14 O 0.122 0.644 0.358
O15 O 0.861 0.505 0.421
O16 O 0.694 0.536 0.530
O17 O 0.512 0.870 0.364
O18 O 0.501 0.636 0.578
O19 O 0.160 0.476 0.252
O20 O 0.879 0.362 0.637
O21 O 0.313 0.458 0.470
O22 O 0.810 0.986 0.412
O23 O 0.541 0.686 0.970
O24 O 0.343 0.470 0.357
O25 O 0.531 0.655 0.857
O26 O 0.656 0.510 0.918
O27 O 0.310 0.838 0.255
O28 O 0.204 0.021 0.305
O29 O 0.511 0.834 0.754
O30 O 0.479 0.359 0.142
O31 O 0.823 0.026 0.807
O32 O 0.833 0.529 0.746
O33 O 0.352 0.845 0.579
O34 O 0.470 0.165 0.247
O35 O 0.840 0.316 0.248
O36 O 0.979 0.794 0.805
O37 O 0.986 0.190 0.305
O38 O 0.642 0.524 0.642
O39 O 0.175 0.008 0.587
O40 O 0.851 0.543 0.022
O41 O 0.691 0.176 0.747
O42 O 0.027 0.813 0.693
O43 O 0.637 0.128 0.133
O44 O 0.819 0.799 0.300
O45 O 0.856 0.348 0.918
O46 O 0.141 0.460 0.972
O47 O 0.476 0.317 0.745
O48 O 0.508 0.858 0.077
O49 O 0.153 0.690 0.470
O50 O 0.454 0.148 0.522
O51 O 0.495 0.140 0.921
O52 O 0.168 0.972 0.914
O53 O 0.690 0.524 0.247
O54 O 0.487 0.342 0.417
O55 O 0.143 0.495 0.577
O56 O 0.167 0.190 0.412
O57 O 0.153 0.676 0.755
O58 O 0.194 0.216 0.689
O59 O 0.353 0.877 0.859
O60 O 0.811 0.830 0.913
O61 O 0.487 0.127 0.639
O62 O 0.519 0.673 0.254
O63 O 0.190 0.182 0.090
O64 O 0.982 0.175 0.586
O65 O 0.871 0.510 0.140
O66 O 0.017 0.190 0.914
O67 O 0.689 0.141 0.022
O68 O 0.991 0.824 0.087
O69 O 0.781 0.798 0.188
O70 O 0.017 0.208 0.193
O71 O 0.856 0.314 0.524
O72 O 0.828 0.023 0.088
Na1 Na 0.994 0.987 0.507
Na2 Na 0.362 0.985 0.754
Na3 Na 0.010 0.639 0.253
Na4 Na 0.687 0.706 0.086
Na5 Na 0.015 0.006 0.007
Na6 Na 0.677 0.973 0.593
Na7 Na 0.650 0.330 0.842
Na8 Na 0.028 0.708 0.588
Na9 Na 0.958 0.654 0.926
Na10 Na 0.347 0.041 0.425
Na11 Na 0.294 0.313 0.584
Na12 Na 0.630 0.646 0.753
Na13 Na 0.694 0.037 0.920
Na14 Na 0.665 0.336 0.341
Na15 Na 0.359 0.369 0.256
Na16 Na 0.348 0.685 0.176
Na17 Na 0.340 0.676 0.674
Na18 Na 0.291 0.973 0.089
Na19 Na 0.026 0.327 0.090
Na20 Na 0.006 0.367 0.757
Na21 Na 0.963 0.307 0.421
P1 P 0.294 0.997 0.249
P2 P 0.670 0.040 0.079
P3 P 0.036 0.663 0.413
P4 P 0.669 0.626 0.582
P5 P 0.002 0.297 0.248